Source >
********
CsTl4Br5: calculated X-ray powder pattern (Cu Kα X-rays), based on DFT lattice parameters and positions (PBE).

Structural model:
Lattice parameters (Å, degrees): 4.8500 6.9028 24.3093 90.00 90.00 90.00
Space group Immm (No. 71)
Inequivalent atoms, fractional coordinates:
Cs: 0.0000 0.0000 0.0000 [2 per cell]
Tl: 0.0000 0.0000 0.2042 [4 per cell]
Tl: 0.0000 0.0000 0.3978 [4 per cell]
Br: 0.0000 0.5000 0.0000 [2 per cell]
Br: 0.0000 0.5000 0.1964 [4 per cell]
Br: 0.0000 0.5000 0.3896 [4 per cell]

Principal peaks in the range 2θ from 5° to 70°, sorted by position:
index, 2θ (°), d (Å), Rel. int.
0 1 5, 22.38, 3.972, 42
0 2 0, 25.81, 3.451, 52
1 0 5, 25.95, 3.434, 100
1 2 5, 36.94, 2.434, 98
2 0 0, 37.07, 2.425, 20
1 1 10, 43.70, 2.072, 16
2 2 0, 45.69, 1.986, 43
1 4 5, 60.00, 1.542, 19
2 2 10, 60.20, 1.537, 26
3 2 5, 66.73, 1.402, 14
********

Activity >
Next, write out everything further above verbatim.

Outcome >
CsTl4Br5: calculated X-ray powder pattern (Cu Kα X-rays), based on DFT lattice parameters and positions (PBE).

Structural model:
Lattice parameters (Å, degrees): 4.8500 6.9028 24.3093 90.00 90.00 90.00
Space group Immm (No. 71)
Inequivalent atoms, fractional coordinates:
Cs: 0.0000 0.0000 0.0000 [2 per cell]
Tl: 0.0000 0.0000 0.2042 [4 per cell]
Tl: 0.0000 0.0000 0.3978 [4 per cell]
Br: 0.0000 0.5000 0.0000 [2 per cell]
Br: 0.0000 0.5000 0.1964 [4 per cell]
Br: 0.0000 0.5000 0.3896 [4 per cell]

Principal peaks in the range 2θ from 5° to 70°, sorted by position:
index, 2θ (°), d (Å), Rel. int.
0 1 5, 22.38, 3.972, 42
0 2 0, 25.81, 3.451, 52
1 0 5, 25.95, 3.434, 100
1 2 5, 36.94, 2.434, 98
2 0 0, 37.07, 2.425, 20
1 1 10, 43.70, 2.072, 16
2 2 0, 45.69, 1.986, 43
1 4 5, 60.00, 1.542, 19
2 2 10, 60.20, 1.537, 26
3 2 5, 66.73, 1.402, 14